What to do =
Could you copy the data underneath from the first line to the one with "-2.6271 -1.6199" without altering anything?

Material =
/*
No. 1
C47H42BF4N11S3SnTe | wB97M-V/def2-TZVPD

Summary:
- max |F| (eV Å⁻¹) = 1.602
- electronic energy (eV) = -122997.0344
- orbital gap (eV) = 5.94
- charge = 0
- HOMO energy (eV) = -6.40

Positions of all 110 atoms, in Å:
Sn 0.3006 0.4331 -0.5990
C 0.8678 1.8787 3.5930
C 1.1993 0.4530 3.4320
N 1.3004 -0.2032 2.3368
C 1.6819 -1.4993 2.5260
C 1.8548 -1.8422 3.8406
S 1.5540 -0.5055 4.8686
C 1.8481 -2.4298 1.4253
C 2.2669 -3.7247 1.5739
S 2.2619 -4.5413 0.0662
C 1.6980 -3.0590 -0.6811
N 1.5440 -2.0908 0.1423
C 1.3821 -3.0109 -2.1223
H 0.6798 2.3300 2.6283
H 1.6953 2.4059 4.0668
H -0.0129 2.0045 4.2220
H 2.1230 -2.7903 4.2591
H 2.5835 -4.2301 2.4642
H 2.1738 -3.4576 -2.7185
H 1.2212 -1.9792 -2.4215
H 0.4655 -3.5678 -2.3104
N -3.0291 -2.6789 -2.9998
C -2.5379 -2.9111 -4.2908
C -2.9506 -4.0173 -5.0199
C -2.4459 -4.2326 -6.2946
C -1.5140 -3.3654 -6.8349
C -1.0749 -2.2728 -6.0990
C -1.6034 -2.0376 -4.8442
S -1.0519 -0.6523 -3.8741
N -1.3353 -1.1844 -2.3267
C -2.2289 -2.0594 -2.0433
C -2.3780 -2.4637 -0.6533
C -3.4319 -3.2729 -0.2010
C -3.4454 -3.6822 1.1156
C -2.4186 -3.2704 1.9558
C -1.4544 -2.4178 1.4362
N -1.4242 -2.0303 0.1804
H -3.6520 -3.3980 -2.6641
H -3.6691 -4.7041 -4.5901
H -2.7813 -5.0919 -6.8563
H -1.1235 -3.5398 -7.8256
H -0.3368 -1.5889 -6.4873
H -4.2429 -3.5709 -0.8490
H -4.2492 -4.3002 1.4901
H -2.3790 -3.6071 2.9784
H -0.6604 -2.0296 2.0575
C 7.3090 0.5969 0.0625
C 5.8206 0.5062 -0.0430
C 5.2056 -0.2361 -1.0464
C 3.8265 -0.2853 -1.0923
N 3.0418 0.3379 -0.2247
C 3.6172 1.0505 0.7270
C 4.9910 1.1564 0.8609
H 7.7714 0.4991 -0.9165
H 7.6880 -0.2038 0.6994
H 7.6062 1.5462 0.5010
H 5.7937 -0.7584 -1.7868
H 3.3163 -0.8382 -1.8697
H 2.9484 1.5670 1.3940
H 5.4119 1.7588 1.6503
N -4.5530 2.9751 5.9575
C -5.3033 3.9432 6.5722
C -5.8270 4.0700 7.8498
C -6.5410 5.2197 8.1248
C -6.7541 6.1997 7.1500
C -6.2490 6.0747 5.8743
C -5.4957 4.9411 5.5837
N -4.8471 4.5794 4.4368
C -4.2943 3.4222 4.6830
C -3.4893 2.6850 3.7264
C -2.8259 3.3740 2.7119
C -2.0630 2.6604 1.8059
N -1.9199 1.3428 1.8443
C -2.5452 0.6902 2.8099
C -3.3291 1.2999 3.7757
H -4.1784 2.1431 6.3817
H -5.6745 3.3077 8.6005
H -6.9514 5.3624 9.1146
H -7.3359 7.0731 7.4072
H -6.4158 6.8242 5.1178
H -2.9091 4.4468 2.6543
H -1.5276 3.1706 1.0223
H -2.4108 -0.3825 2.8176
H -3.8195 0.7101 4.5359
F 0.6574 2.7312 0.4181
B 1.4997 3.9094 0.3543
F 0.7414 4.8908 -0.2171
F 2.5872 3.5845 -0.4074
F 1.8521 4.2084 1.6416
N -3.2853 3.2183 -1.7699
C -4.0979 2.1460 -1.5313
C -3.2732 1.1401 -1.1252
N -1.9899 1.5794 -1.1277
C -2.0260 2.8306 -1.5065
H -3.5791 4.1335 -2.0733
H -5.1577 2.1795 -1.6824
H -3.5150 0.1421 -0.8244
H -1.1630 3.4598 -1.5885
Te 1.2527 1.9981 -2.8268
C 1.5805 1.1930 -4.8032
C 0.6081 1.1918 -5.7937
C 0.9154 0.8596 -7.1023
C 2.2160 0.5400 -7.4528
C 3.1940 0.5245 -6.4718
C 2.8730 0.8376 -5.1651
H -0.4069 1.4714 -5.5506
H 0.1366 0.8732 -7.8552
H 2.4682 0.3168 -8.4798
H 4.2176 0.2843 -6.7265
H 3.6466 0.8376 -4.4087

Atoms 1-6, force components in eV/Å:
-0.127 -0.043 0.519
-0.129 0.409 -0.017
0.092 -0.259 1.133
-0.111 0.209 -0.784
0.200 -0.223 1.230
-0.099 0.237 -0.065

Mulliken population analysis, charges in e, atoms 1 to 5: atom 1 (Sn): 1.5708, atom 2 (C): -1.0566, atom 3 (C): 0.3715, atom 4 (N): 0.9456, atom 5 (C): -0.8457

No. 2
C6H12O | wB97M-V/def2-TZVPD

Summary:
- energy relative to the best compared isomer or geometry (same formula, charge and spin) (kJ/mol) = 164.8
- max |F| (eV Å⁻¹) = 0.428
- electronic energy (eV) = -8462.6463
- orbital gap (eV) = 9.46
- SMILES = C/C=C(/C)O.C=C
- charge = 0
- HOMO energy (eV) = -8.46

Positions of all 19 atoms, in Å:
C 1.8775 -0.8207 -0.4283
C 0.4858 -0.9026 0.1323
O 0.3027 -0.3181 1.3603
C 0.2444 2.3107 -0.4335
C -0.4959 2.5598 0.6419
C -1.9119 -1.6979 0.0400
C -0.5067 -1.5637 -0.4658
H 2.2069 0.2208 -0.5484
H 1.9256 -1.3017 -1.4084
H 2.5901 -1.3152 0.2421
H 0.7909 0.5182 1.3693
H 1.2696 2.6646 -0.5204
H -0.1411 1.7180 -1.2599
H -0.1149 3.1296 1.4867
H -1.5138 2.1875 0.7274
H -2.6271 -1.6199 -0.7874
H -2.1492 -0.9289 0.7809
*/

Result =
No. 1
C47H42BF4N11S3SnTe | wB97M-V/def2-TZVPD

Summary:
- max |F| (eV Å⁻¹) = 1.602
- electronic energy (eV) = -122997.0344
- orbital gap (eV) = 5.94
- charge = 0
- HOMO energy (eV) = -6.40

Positions of all 110 atoms, in Å:
Sn 0.3006 0.4331 -0.5990
C 0.8678 1.8787 3.5930
C 1.1993 0.4530 3.4320
N 1.3004 -0.2032 2.3368
C 1.6819 -1.4993 2.5260
C 1.8548 -1.8422 3.8406
S 1.5540 -0.5055 4.8686
C 1.8481 -2.4298 1.4253
C 2.2669 -3.7247 1.5739
S 2.2619 -4.5413 0.0662
C 1.6980 -3.0590 -0.6811
N 1.5440 -2.0908 0.1423
C 1.3821 -3.0109 -2.1223
H 0.6798 2.3300 2.6283
H 1.6953 2.4059 4.0668
H -0.0129 2.0045 4.2220
H 2.1230 -2.7903 4.2591
H 2.5835 -4.2301 2.4642
H 2.1738 -3.4576 -2.7185
H 1.2212 -1.9792 -2.4215
H 0.4655 -3.5678 -2.3104
N -3.0291 -2.6789 -2.9998
C -2.5379 -2.9111 -4.2908
C -2.9506 -4.0173 -5.0199
C -2.4459 -4.2326 -6.2946
C -1.5140 -3.3654 -6.8349
C -1.0749 -2.2728 -6.0990
C -1.6034 -2.0376 -4.8442
S -1.0519 -0.6523 -3.8741
N -1.3353 -1.1844 -2.3267
C -2.2289 -2.0594 -2.0433
C -2.3780 -2.4637 -0.6533
C -3.4319 -3.2729 -0.2010
C -3.4454 -3.6822 1.1156
C -2.4186 -3.2704 1.9558
C -1.4544 -2.4178 1.4362
N -1.4242 -2.0303 0.1804
H -3.6520 -3.3980 -2.6641
H -3.6691 -4.7041 -4.5901
H -2.7813 -5.0919 -6.8563
H -1.1235 -3.5398 -7.8256
H -0.3368 -1.5889 -6.4873
H -4.2429 -3.5709 -0.8490
H -4.2492 -4.3002 1.4901
H -2.3790 -3.6071 2.9784
H -0.6604 -2.0296 2.0575
C 7.3090 0.5969 0.0625
C 5.8206 0.5062 -0.0430
C 5.2056 -0.2361 -1.0464
C 3.8265 -0.2853 -1.0923
N 3.0418 0.3379 -0.2247
C 3.6172 1.0505 0.7270
C 4.9910 1.1564 0.8609
H 7.7714 0.4991 -0.9165
H 7.6880 -0.2038 0.6994
H 7.6062 1.5462 0.5010
H 5.7937 -0.7584 -1.7868
H 3.3163 -0.8382 -1.8697
H 2.9484 1.5670 1.3940
H 5.4119 1.7588 1.6503
N -4.5530 2.9751 5.9575
C -5.3033 3.9432 6.5722
C -5.8270 4.0700 7.8498
C -6.5410 5.2197 8.1248
C -6.7541 6.1997 7.1500
C -6.2490 6.0747 5.8743
C -5.4957 4.9411 5.5837
N -4.8471 4.5794 4.4368
C -4.2943 3.4222 4.6830
C -3.4893 2.6850 3.7264
C -2.8259 3.3740 2.7119
C -2.0630 2.6604 1.8059
N -1.9199 1.3428 1.8443
C -2.5452 0.6902 2.8099
C -3.3291 1.2999 3.7757
H -4.1784 2.1431 6.3817
H -5.6745 3.3077 8.6005
H -6.9514 5.3624 9.1146
H -7.3359 7.0731 7.4072
H -6.4158 6.8242 5.1178
H -2.9091 4.4468 2.6543
H -1.5276 3.1706 1.0223
H -2.4108 -0.3825 2.8176
H -3.8195 0.7101 4.5359
F 0.6574 2.7312 0.4181
B 1.4997 3.9094 0.3543
F 0.7414 4.8908 -0.2171
F 2.5872 3.5845 -0.4074
F 1.8521 4.2084 1.6416
N -3.2853 3.2183 -1.7699
C -4.0979 2.1460 -1.5313
C -3.2732 1.1401 -1.1252
N -1.9899 1.5794 -1.1277
C -2.0260 2.8306 -1.5065
H -3.5791 4.1335 -2.0733
H -5.1577 2.1795 -1.6824
H -3.5150 0.1421 -0.8244
H -1.1630 3.4598 -1.5885
Te 1.2527 1.9981 -2.8268
C 1.5805 1.1930 -4.8032
C 0.6081 1.1918 -5.7937
C 0.9154 0.8596 -7.1023
C 2.2160 0.5400 -7.4528
C 3.1940 0.5245 -6.4718
C 2.8730 0.8376 -5.1651
H -0.4069 1.4714 -5.5506
H 0.1366 0.8732 -7.8552
H 2.4682 0.3168 -8.4798
H 4.2176 0.2843 -6.7265
H 3.6466 0.8376 -4.4087

Atoms 1-6, force components in eV/Å:
-0.127 -0.043 0.519
-0.129 0.409 -0.017
0.092 -0.259 1.133
-0.111 0.209 -0.784
0.200 -0.223 1.230
-0.099 0.237 -0.065

Mulliken population analysis, charges in e, atoms 1 to 5: atom 1 (Sn): 1.5708, atom 2 (C): -1.0566, atom 3 (C): 0.3715, atom 4 (N): 0.9456, atom 5 (C): -0.8457

No. 2
C6H12O | wB97M-V/def2-TZVPD

Summary:
- energy relative to the best compared isomer or geometry (same formula, charge and spin) (kJ/mol) = 164.8
- max |F| (eV Å⁻¹) = 0.428
- electronic energy (eV) = -8462.6463
- orbital gap (eV) = 9.46
- SMILES = C/C=C(/C)O.C=C
- charge = 0
- HOMO energy (eV) = -8.46

Positions of all 19 atoms, in Å:
C 1.8775 -0.8207 -0.4283
C 0.4858 -0.9026 0.1323
O 0.3027 -0.3181 1.3603
C 0.2444 2.3107 -0.4335
C -0.4959 2.5598 0.6419
C -1.9119 -1.6979 0.0400
C -0.5067 -1.5637 -0.4658
H 2.2069 0.2208 -0.5484
H 1.9256 -1.3017 -1.4084
H 2.5901 -1.3152 0.2421
H 0.7909 0.5182 1.3693
H 1.2696 2.6646 -0.5204
H -0.1411 1.7180 -1.2599
H -0.1149 3.1296 1.4867
H -1.5138 2.1875 0.7274
H -2.6271 -1.6199 -0.7874